Write out everything further down unchanged.

- - -
Theoretical X-ray diffraction stick pattern
Compound: BeTcW
Radiation: Cu Kα, 1.54184 Å
Structure: DFT lattice parameters and positions (GGA-PBE)

Structural model:
```
BeTcW
1.0
0.000 4.023 4.025
2.353 0.000 4.025
2.353 4.023 0.000
Be Tc W
2 2 2
Direct
0.250 0.250 0.250
0.750 0.750 0.750
0.166 0.834 0.166
0.834 0.166 0.834
0.337 0.337 0.663
0.663 0.663 0.337
```

The 10 most intense peaks (5° ≤ 2θ ≤ 70°), in order of rising 2θ:
Position (°2θ)	I (rel.)
22.10	19
24.55	7
31.44	17
38.26	24
40.29	100
44.62	8
45.07	4
50.33	11
50.73	13
65.28	10

----------

1.
LiTmPd2: simulated powder diffractogram (Cu Kα (λ = 1.5418 Å)), based on the PBE geometry in the Materials Project.

Principal peaks in the range 10° ≤ 2θ ≤ 80°, by angle:
2θ/deg, d_spacing, I_rel
23.4, 3.800, 43
27.1, 3.291, 2
38.7, 2.327, 100
45.7, 1.984, 22
55.9, 1.645, 17
61.4, 1.510, 9
70.0, 1.343, 34
75.0, 1.267, 7

Structural model:
Lattice parameters (Å, degrees): 4.654 4.654 4.654 60.00 60.00 60.00
Fractional coordinates of all 4 atoms:
Li: 0.000 0.000 0.000
Tm: 0.500 0.500 0.500
Pd: 0.250 0.250 0.250
Pd: 0.750 0.750 0.750

2.
LiZn2Pd: simulated powder diffractogram (Cu Kα (λ = 1.5418 Å)), based on the PBE geometry in the Materials Project.

Principal peaks in the range 10° ≤ 2θ ≤ 80°, by angle:
2θ/deg, d_spacing, I_rel
25.2, 3.534, 42
29.2, 3.060, 2
41.7, 2.164, 100
49.4, 1.845, 20
60.5, 1.530, 16
66.6, 1.404, 8
76.2, 1.249, 31

Structural model:
Lattice parameters (Å, degrees): 4.328 4.328 4.328 60.00 60.00 60.00
Fractional coordinates of all 4 atoms:
Li: 0.000 0.000 0.000
Zn: 0.250 0.250 0.250
Zn: 0.750 0.750 0.750
Pd: 0.500 0.500 0.500

3.
LiZrPd2: simulated powder diffractogram (Cu Kα (λ = 1.5418 Å)), based on the PBE geometry in the Materials Project.

Principal peaks in the range 10° ≤ 2θ ≤ 80°, by angle:
2θ/deg, d_spacing, I_rel
23.9, 3.722, 20
27.7, 3.223, 19
39.5, 2.279, 100
46.7, 1.944, 10
48.9, 1.861, 5
57.2, 1.612, 17
62.8, 1.479, 4
64.7, 1.442, 7
71.7, 1.316, 33
76.8, 1.241, 3

Structural model:
Lattice parameters (Å, degrees): 4.559 4.559 4.559 60.00 60.00 60.00
Fractional coordinates of all 4 atoms:
Li: 0.000 0.000 0.000
Zr: 0.500 0.500 0.500
Pd: 0.250 0.250 0.250
Pd: 0.750 0.750 0.750

4.
LiPm2Pt: simulated powder diffractogram (Cu Kα (λ = 1.5418 Å)), based on the PBE geometry in the Materials Project.

Principal peaks in the range 10° ≤ 2θ ≤ 80°, by angle:
2θ/deg, d_spacing, I_rel
21.3, 4.180, 34
24.6, 3.620, 5
35.1, 2.560, 100
41.4, 2.183, 18
50.4, 1.810, 18
55.3, 1.661, 8
62.9, 1.478, 37
67.2, 1.393, 6
74.1, 1.280, 11
78.1, 1.224, 6

Structural model:
Lattice parameters (Å, degrees): 5.120 5.120 5.120 60.00 60.00 60.00
Fractional coordinates of all 4 atoms:
Li: 0.000 0.000 0.000
Pm: 0.250 0.250 0.250
Pm: 0.750 0.750 0.750
Pt: 0.500 0.500 0.500

5.
LiPm2Ru: simulated powder diffractogram (Cu Kα (λ = 1.5418 Å)), based on the PBE geometry in the Materials Project.

Principal peaks in the range 10° ≤ 2θ ≤ 80°, by angle:
2θ/deg, d_spacing, I_rel
21.7, 4.097, 15
25.1, 3.548, 26
35.8, 2.509, 100
42.2, 2.139, 7
44.2, 2.048, 8
51.5, 1.774, 18
56.5, 1.628, 3
58.1, 1.587, 11
64.3, 1.448, 36
75.8, 1.254, 11

Structural model:
Lattice parameters (Å, degrees): 5.017 5.017 5.017 60.00 60.00 60.00
Fractional coordinates of all 4 atoms:
Li: 0.000 0.000 0.000
Pm: 0.250 0.250 0.250
Pm: 0.750 0.750 0.750
Ru: 0.500 0.500 0.500

6.
LiPm2Sn: simulated powder diffractogram (Cu Kα (λ = 1.5418 Å)), based on the PBE geometry in the Materials Project.

Principal peaks in the range 10° ≤ 2θ ≤ 80°, by angle:
2θ/deg, d_spacing, I_rel
20.3, 4.379, 17
23.5, 3.792, 20
33.4, 2.681, 100
39.4, 2.287, 10
41.2, 2.189, 6
48.0, 1.896, 18
52.6, 1.740, 4
54.1, 1.696, 8
59.7, 1.548, 38
70.2, 1.341, 12

Structural model:
Lattice parameters (Å, degrees): 5.363 5.363 5.363 60.00 60.00 60.00
Fractional coordinates of all 4 atoms:
Li: 0.000 0.000 0.000
Pm: 0.250 0.250 0.250
Pm: 0.750 0.750 0.750
Sn: 0.500 0.500 0.500

7.
- - -

Theoretical X-ray diffraction stick pattern
Compound: BeTcW
Radiation: Cu Kα, 1.54184 Å
Structure: DFT lattice parameters and positions (GGA-PBE)

Structural model:
```
BeTcW
1.0
0.000 4.023 4.025
2.353 0.000 4.025
2.353 4.023 0.000
Be Tc W
2 2 2
Direct
0.250 0.250 0.250
0.750 0.750 0.750
0.166 0.834 0.166
0.834 0.166 0.834
0.337 0.337 0.663
0.663 0.663 0.337
```

The 10 most intense peaks (5° ≤ 2θ ≤ 70°), in order of rising 2θ:
Position (°2θ)	I (rel.)
22.10	19
24.55	7
31.44	17
38.26	24
40.29	100
44.62	8
45.07	4
50.33	11
50.73	13
65.28	10

----------

1.
LiTmPd2: simulated powder diffractogram (Cu Kα (λ = 1.5418 Å)), based on the PBE geometry in the Materials Project.

Principal peaks in the range 10° ≤ 2θ ≤ 80°, by angle:
2θ/deg, d_spacing, I_rel
23.4, 3.800, 43
27.1, 3.291, 2
38.7, 2.327, 100
45.7, 1.984, 22
55.9, 1.645, 17
61.4, 1.510, 9
70.0, 1.343, 34
75.0, 1.267, 7

Structural model:
Lattice parameters (Å, degrees): 4.654 4.654 4.654 60.00 60.00 60.00
Fractional coordinates of all 4 atoms:
Li: 0.000 0.000 0.000
Tm: 0.500 0.500 0.500
Pd: 0.250 0.250 0.250
Pd: 0.750 0.750 0.750

2.
LiZn2Pd: simulated powder diffractogram (Cu Kα (λ = 1.5418 Å)), based on the PBE geometry in the Materials Project.

Principal peaks in the range 10° ≤ 2θ ≤ 80°, by angle:
2θ/deg, d_spacing, I_rel
25.2, 3.534, 42
29.2, 3.060, 2
41.7, 2.164, 100
49.4, 1.845, 20
60.5, 1.530, 16
66.6, 1.404, 8
76.2, 1.249, 31

Structural model:
Lattice parameters (Å, degrees): 4.328 4.328 4.328 60.00 60.00 60.00
Fractional coordinates of all 4 atoms:
Li: 0.000 0.000 0.000
Zn: 0.250 0.250 0.250
Zn: 0.750 0.750 0.750
Pd: 0.500 0.500 0.500

3.
LiZrPd2: simulated powder diffractogram (Cu Kα (λ = 1.5418 Å)), based on the PBE geometry in the Materials Project.

Principal peaks in the range 10° ≤ 2θ ≤ 80°, by angle:
2θ/deg, d_spacing, I_rel
23.9, 3.722, 20
27.7, 3.223, 19
39.5, 2.279, 100
46.7, 1.944, 10
48.9, 1.861, 5
57.2, 1.612, 17
62.8, 1.479, 4
64.7, 1.442, 7
71.7, 1.316, 33
76.8, 1.241, 3

Structural model:
Lattice parameters (Å, degrees): 4.559 4.559 4.559 60.00 60.00 60.00
Fractional coordinates of all 4 atoms:
Li: 0.000 0.000 0.000
Zr: 0.500 0.500 0.500
Pd: 0.250 0.250 0.250
Pd: 0.750 0.750 0.750

4.
LiPm2Pt: simulated powder diffractogram (Cu Kα (λ = 1.5418 Å)), based on the PBE geometry in the Materials Project.

Principal peaks in the range 10° ≤ 2θ ≤ 80°, by angle:
2θ/deg, d_spacing, I_rel
21.3, 4.180, 34
24.6, 3.620, 5
35.1, 2.560, 100
41.4, 2.183, 18
50.4, 1.810, 18
55.3, 1.661, 8
62.9, 1.478, 37
67.2, 1.393, 6
74.1, 1.280, 11
78.1, 1.224, 6

Structural model:
Lattice parameters (Å, degrees): 5.120 5.120 5.120 60.00 60.00 60.00
Fractional coordinates of all 4 atoms:
Li: 0.000 0.000 0.000
Pm: 0.250 0.250 0.250
Pm: 0.750 0.750 0.750
Pt: 0.500 0.500 0.500

5.
LiPm2Ru: simulated powder diffractogram (Cu Kα (λ = 1.5418 Å)), based on the PBE geometry in the Materials Project.

Principal peaks in the range 10° ≤ 2θ ≤ 80°, by angle:
2θ/deg, d_spacing, I_rel
21.7, 4.097, 15
25.1, 3.548, 26
35.8, 2.509, 100
42.2, 2.139, 7
44.2, 2.048, 8
51.5, 1.774, 18
56.5, 1.628, 3
58.1, 1.587, 11
64.3, 1.448, 36
75.8, 1.254, 11

Structural model:
Lattice parameters (Å, degrees): 5.017 5.017 5.017 60.00 60.00 60.00
Fractional coordinates of all 4 atoms:
Li: 0.000 0.000 0.000
Pm: 0.250 0.250 0.250
Pm: 0.750 0.750 0.750
Ru: 0.500 0.500 0.500

6.
LiPm2Sn: simulated powder diffractogram (Cu Kα (λ = 1.5418 Å)), based on the PBE geometry in the Materials Project.

Principal peaks in the range 10° ≤ 2θ ≤ 80°, by angle:
2θ/deg, d_spacing, I_rel
20.3, 4.379, 17
23.5, 3.792, 20
33.4, 2.681, 100
39.4, 2.287, 10
41.2, 2.189, 6
48.0, 1.896, 18
52.6, 1.740, 4
54.1, 1.696, 8
59.7, 1.548, 38
70.2, 1.341, 12

Structural model:
Lattice parameters (Å, degrees): 5.363 5.363 5.363 60.00 60.00 60.00
Fractional coordinates of all 4 atoms:
Li: 0.000 0.000 0.000
Pm: 0.250 0.250 0.250
Pm: 0.750 0.750 0.750
Sn: 0.500 0.500 0.500

7.